Unknown issues with grow


Well-Known Member
alright what i recomened is a flush then a shot of blood meal and a watering of nutes at 1/4 power. also 42w of cfl isnt sufficient enough you want 70-100w minimal for decent growth and bud production.

Father Earth

Well-Known Member
Sounds pretty decent. But the plant will still be growing in nutrient deficient soil. Adding nutrients from the top of the soil is kinda deficient because you can't spread the nutes evenly in your pot. There will be patches in your pot where the deficient soil exists, making the recovery slower. What about removing that deficient soil and replacing it with MG efficient soil. And the MG enriched soil i'm referencing is mixed with gardening lime. It contains high levels of all the micro nutrients, and instantly should help with majority of our deficiencies. Your roots will instanly be able to take in your missing nutrients, and the will be distributed evenly throught out your pot.


Well I tried the epsoms salt and that seemed to make things much worse...since then I have repotted it, flushed it thoroughly with ph'd filtered water, got an additive called dr repair and got some better grow lights. I'm on 1/2 strength on calmag, mother earth, and dr repair...we'll see how this goes....question, has anyone tried using hps during veg stage?


Well-Known Member
Well I tried the epsoms salt and that seemed to make things much worse...since then I have repotted it, flushed it thoroughly with ph'd filtered water, got an additive called dr repair and got some better grow lights. I'm on 1/2 strength on calmag, mother earth, and dr repair...we'll see how this goes....question, has anyone tried using hps during veg stage?
i had the same experience with epsom salts many grows ago, but never forgot the lesson
be cautious with hitting it with all the extra stuff, fresh soil should have enough nutes for a while
i see plenty of growers that veg under hps, some fluorescents for more blue spectrum would help, but you can veg with just a hps

Father Earth

Well-Known Member
This should fix things! Give us a pic update
Well I tried the epsoms salt and that seemed to make things much worse...since then I have repotted it, flushed it thoroughly with ph'd filtered water, got an additive called dr repair and got some better grow lights. I'm on 1/2 strength on calmag, mother earth, and dr repair...we'll see how this goes....question, has anyone tried using hps during veg stage?


Pic update soon, starting to think my soil isn't the best of quality. It seems to be very dense and maybe preventing root growth. Oh well, you live and you learn...


long over due pic update...mmmm

shes made a big turn around. still getting some discolored leaves and fan leaves dying off but nothing to be too concerned about. not bad for a bag seed



Well-Known Member
i'd say now(nute cutting, not plant cutting), ripening appears to be pretty well advanced
giving a close look with a magnifier will help, see how the trichomes are doing

┌──
Below is ZrZn3 after structural relaxation, with properties calculated at the GGA-PBE level.

The structure in extended XYZ format:
```
8
Lattice="-3.1491 4.8918 0.9204 0.3107 -4.1335 4.1847 3.5432 1.9652 1.6781" Properties=species:S:1:pos:R:3 pbc="T T T"
Zn 0.2192 2.7667 4.8926
Zn 0.0561 4.9365 2.6958
Zn 0.4855 -0.0432 1.8906
Zn 0.6486 -2.2130 4.0873
Zn -1.0045 0.3549 4.5705
Zr 1.8148 0.3489 4.3552
Zn 1.7092 2.3686 2.2127
Zr -1.1101 2.3747 2.4280
```

Properties
**Final energy**: -26.97 eV/cell
**Mass density**: 7.2 g/cm3
**Energy of formation from the pure elements**: -290 meV/atom
**Space-group type**: P6_3/mmc (194)

=====

*A*
Below is a relaxed LiMn2O4 crystal, with properties calculated at the GGA+U level.

Geometry as POSCAR:
```
LiMn2O4
1.0
2.988 0.000 0.000
0.000 5.062 0.000
0.000 1.634 5.014
Li Mn O
1 2 4
Cartesian
0.000 0.000 0.000
0.000 3.348 2.507
1.494 0.817 2.507
0.000 1.652 1.546
1.494 4.331 1.395
0.000 5.044 3.469
1.494 2.366 3.619
```

***

*B*
Below is a relaxed LiMn2O4 crystal, with properties calculated at the GGA+U level.

Geometry as POSCAR:
```
LiMn2O4
1.0
-6.049 0.000 0.000
-0.071 -8.225 0.000
2.565 4.091 9.024
Li Mn O
6 12 24
Cartesian
-3.501 3.073 7.550
-3.207 -5.154 1.547
-0.059 -7.216 1.479
-3.217 -3.075 4.472
-0.380 1.015 7.501
-0.315 -1.023 4.531
-4.611 -2.062 1.494
-0.469 4.086 9.021
-1.986 -2.081 7.573
-0.157 -4.120 2.997
1.038 -2.066 7.569
-0.064 -4.131 0.026
-4.829 -6.176 4.503
-1.589 -2.052 1.464
-3.388 0.004 6.029
-1.802 -6.177 4.478
-0.388 -4.106 6.003
-3.155 -0.001 3.009
-3.441 1.956 5.907
1.186 -0.151 7.685
-2.934 -1.934 0.074
-0.636 -2.216 8.967
-4.705 0.120 4.567
-1.660 -0.139 1.364
-1.547 -4.208 4.393
-0.085 -2.182 0.190
-1.427 -4.035 1.472
-3.336 -6.251 3.219
-0.267 -2.181 2.875
-0.220 2.158 5.786
-3.072 -2.000 2.745
-1.901 -4.005 7.637
-3.470 -1.970 8.878
-0.509 -2.137 6.273
1.142 -4.212 4.398
-0.094 -6.037 3.075
-2.159 -0.105 7.650
0.808 -4.015 7.580
-4.858 -4.014 1.542
-4.372 -0.118 1.444
-3.313 -1.964 6.175
-1.876 0.126 4.438
```

***

*C*
Below is a relaxed LiMn2O4 crystal, with properties calculated at the GGA+U level.

Geometry as POSCAR:
```
LiMn2O4
1.0
-3.244 7.683 -2.337
-9.821 -1.862 -8.504
-9.697 3.302 8.281
Li Mn O
18 36 72
Cartesian
-14.002 6.062 -4.744
-9.637 2.406 -6.784
-18.537 2.896 -0.718
-4.223 6.240 -1.843
-17.540 6.973 -4.995
-8.864 1.320 -3.409
-9.610 5.824 4.405
-7.724 7.088 -2.097
-13.124 6.725 4.222
-13.902 7.814 0.851
-13.150 3.312 -6.963
-5.320 0.426 -3.107
-9.614 4.158 -1.197
-8.761 3.067 2.193
-17.439 8.710 0.547
-13.151 4.976 -1.357
-15.038 2.043 -0.459
-5.226 2.161 2.443
-10.778 7.410 -0.678
-12.986 10.103 3.156
-11.951 0.828 -4.679
-8.716 4.761 -4.475
-2.208 0.940 -1.745
-11.929 -0.036 -7.495
-11.444 3.712 -4.079
-11.995 1.726 -1.877
-6.476 4.669 0.144
-11.894 3.443 3.702
-9.775 -0.969 -5.713
-20.549 8.200 -0.819
-8.619 6.503 1.115
-14.045 4.375 1.912
-6.549 3.808 -2.604
-6.040 5.821 -4.740
-14.144 2.627 -3.662
-9.760 0.722 -0.113
-10.881 6.528 -3.429
└──
Back to the entry >


alright, just got my magnifier in the mail...the trichomes all appear to be milky or even clear still. So my question is, how long do i have until they will start turning amber? Do i have time for 1 more nute feed before i cut off the nutes?


Well-Known Member
every plant can be different
if this the 1st time eyeballing the trichomes, do it as much as you have time for
you'll get a feel for how the plant is ripening
and use all the information, the plant should look 'ripe', there's a good thread called Zeus's take on harvesting, the idea being if it looks ripe, it is ripe


Active Member
It looks over watered and under fed to me . The plant is smarter then people give it credit for . It will pull nutes from lower leaves to feed the top ones . when it does they will turn yellow and fall off . The first thing you should do if lower stuff starts to turn yellow is look at the water schedule and see if you have been over watering ? Then look at the new growth and see if it is light green . Both indicate that she is hungry . Don't panic try a bigger pot it will help with drainage . And son't be afraid to up the nutes . If your tips just start turning yellow then you know that's about what she can handle and not much more . The amount of food she can take will change during the life cycle . Every twisted leaf tip . yellow tip ,spot or streak they all mean something . The girls are always telling you what they want/need . If human chicks were this simple we would have life so much easier ... good luck


^ Thanks for the input....Not sure if you read my most recent posts or just read my first post? but I think she's doing alright....maybe some minor problems but i started off with a poor soil so i think drainage might be an issue. Def not over watered, im a pretty good judge of when it needs water or not...I usually water ever 6-8 days. anywho, do you have an input on my harvest?

chicken bob

Active Member
i think u really turned this around (read every post) it was kinda like a happy ending i was reading along thinkin man this guys growing in some thick mud ...... then bam buds..... they will be ready soon if your a flusher start now looks like ten more days to me maybe 2 weeks but i think sooner


Active Member
Ya bro just finished the post, great come back. U put a lot of work into it. As far as harvest I watch the trics and try to be patient...
+rep for a great finish


thanks ya'll ^ its been quite the learning experience, definitely going to be alot different next time around. I am very pleased with her turn around and how she is turning out...Overall growth of the plant is still ridiculously slow, going to be close to 5 months when all is said and done...but well worth it though.

So right now i've got her on Calmag, Mother Earth Bloom Super Tea 3-2-5, Bloombastic... Should i completely stop all nutes? Or can i keep the bloombastic going? Is there anything i can add to the soil to sweeten up the nugs or is it to late at this point?